_Contents_
+++
[1]
Crystalline LaNd7Er2 at its relaxed geometry, computed with GGA-PBE.

## Properties
DOS(E_F): 15.47 states/eV/f.u.
energy above the lowest structure with this stoichiometry: 0.00 eV/f.u.
formation enthalpy at 0 K: 75 meV/atom

abc: 6.607 6.735 8.633
angles: 73.08 71.67 83.58
Space group P-1 (No. 2)
Symmetry-distinct sites (fractional):
La 0.000 0.000 0.000 [1 per cell]
Nd 0.000 0.000 0.500 [1 per cell]
Nd 0.205 0.595 0.768 [2 per cell]
Nd 0.227 0.542 0.342 [2 per cell]
Nd 0.422 0.236 0.062 [2 per cell]
Er 0.423 0.144 0.636 [2 per cell]



[2]
Crystalline La6Nd12Er at its relaxed geometry, computed with GGA-PBE.

## Properties
DOS(E_F): 30.64 states/eV/f.u.
energy above the lowest structure with this stoichiometry: 0.00 eV/f.u.
formation enthalpy at 0 K: 115 meV/atom

abc: 12.4241 12.4241 15.3307
angles: 90.00 90.00 120.00
Space group R-3 (No. 148, hexagonal axes)
Symmetry-distinct sites (fractional):
La 0.0137 0.4212 0.1867 [18 per cell]
Nd 0.0048 0.1725 0.3107 [18 per cell]
Nd 0.0509 0.8535 0.9166 [18 per cell]
Er 0.0000 0.0000 0.5000 [3 per cell]



[3]
Crystalline LaNd4Er5 at its relaxed geometry, computed with GGA-PBE.

## Properties
DOS(E_F): 14.27 states/eV/f.u.
formation enthalpy at 0 K: 20 meV/atom

abc: 3.627 3.627 25.104
angles: 90.00 90.00 90.00
Space group P4/mmm (No. 123)
Symmetry-distinct sites (fractional):
La 0.000 0.000 0.000 [1 per cell]
Nd 0.000 0.000 0.201 [2 per cell]
Nd 0.000 0.000 0.400 [2 per cell]
Er 0.500 0.500 0.102 [2 per cell]
Er 0.500 0.500 0.301 [2 per cell]
Er 0.500 0.500 0.500 [1 per cell]



[4]
Crystalline La4Nd2Er3 at its relaxed geometry, computed with GGA-PBE.

## Properties
DOS(E_F): 16.09 states/eV/f.u.
energy above the lowest structure with this stoichiometry: 0.00 eV/f.u.
formation enthalpy at 0 K: 56 meV/atom

abc: 3.6395 3.6395 27.3984
angles: 90.00 90.00 120.00
Space group P3m1 (No. 156)
Symmetry-distinct sites (fractional):
La 0.0000 0.0000 0.0000 [1 per cell]
La 0.0000 0.0000 0.2112 [1 per cell]
La 0.3333 0.6667 0.3302 [1 per cell]
La 0.3333 0.6667 0.5429 [1 per cell]
Nd 0.0000 0.0000 0.6592 [1 per cell]
Nd 0.0000 0.0000 0.8669 [1 per cell]
Er 0.0000 0.0000 0.4362 [1 per cell]
Er 0.3333 0.6667 0.1047 [1 per cell]
Er 0.3333 0.6667 0.7641 [1 per cell]



[5]
Crystalline La3Nd2Er7 at its relaxed geometry, computed with GGA-PBE.

## Properties
DOS(E_F): 17.91 states/eV/f.u.
formation enthalpy at 0 K: 93 meV/atom

abc: 6.379 3.559 17.679
angles: 90.00 96.47 90.00
Space group P2/m (No. 10)
Symmetry-distinct sites (fractional):
La 0.000 0.000 0.000 [1 per cell]
La 0.043 0.500 0.660 [2 per cell]
Nd 0.450 0.000 0.325 [2 per cell]
Er 0.230 0.500 0.164 [2 per cell]
Er 0.247 0.000 0.498 [2 per cell]
Er 0.275 0.000 0.836 [2 per cell]
Er 0.500 0.500 0.000 [1 per cell]



[6]
Crystalline LaNdEr2 at its relaxed geometry, computed with GGA-PBE.

## Properties
DOS(E_F): 6.56 states/eV/f.u.
energy above the lowest structure with this stoichiometry: 1.75 eV/f.u.
formation enthalpy at 0 K: 452 meV/atom

abc: 6.142 5.569 8.874
angles: 90.00 98.23 90.00
Space group P2/m (No. 10)
Symmetry-distinct sites (fractional):
La 0.000 0.000 0.000 [1 per cell]
La 0.500 0.500 0.500 [1 per cell]
Nd 0.101 0.500 0.711 [2 per cell]
Er 0.239 0.000 0.398 [2 per cell]
Er 0.339 0.500 0.127 [2 per cell]



[7]
Crystalline La8Nd2Er at its relaxed geometry, computed with GGA-PBE.

## Properties
DOS(E_F): 15.17 states/eV/f.u.
energy above the lowest structure with this stoichiometry: 1.17 eV/f.u.
formation enthalpy at 0 K: 121 meV/atom

abc: 9.300 16.959 6.097
angles: 90.00 123.83 90.00
Space group C2/m (No. 12)
Symmetry-distinct sites (fractional):
La 0.000 0.205 0.000 [4 per cell]
La 0.081 0.500 0.799 [4 per cell]
La 0.213 0.117 0.683 [8 per cell]
Nd 0.000 0.309 0.500 [4 per cell]
Er 0.000 0.000 0.000 [2 per cell]



[8]
Crystalline La3Nd4Er3 at its relaxed geometry, computed with GGA-PBE.

## Properties
DOS(E_F): 12.67 states/eV/f.u.
formation enthalpy at 0 K: 83 meV/atom

abc: 3.838 13.574 13.493
+++
_Wanted_
Filter the contents further above: keep the lines with the word "LaNd4Er5".
_Response_
Crystalline LaNd4Er5 at its relaxed geometry, computed with GGA-PBE.